Sacrificing America’s Children to ‘Make the World a Better Place’
by Maureen Farrell
While Colin Powell?s angst over last February?s reputation-tainting U.N. presentation has been colorfully documented ("This is bullshit!," he said at one point), the May issue of Vanity Fair is teeming with information that even ardent Bush administration apologists would be hard pressed to defend. And while it’s no surprise that Dick Cheney strong-armed others into backing the war in Iraq, his ruthless eagerness to deceive is, in itself, a revelation. If tall tales about mobile labs, WMD stockpiles and Iraq’s ties to al Qaeda were not bad enough (a transcript of Powell?s statements before the U.N. Security Council are posted on the White House Web site, below the banner "Iraq: Denial and Deception" []), the Vice President tried to persuade Powell to include other widely discredited information and even reportedly urged him to "link Iraq directly to the 9/11 terrorist attacks on New York and Washington.
" "Powell was keenly aware he was staking his credibility on the speech, and he wanted to include only solid information that could be verified," Vanity Fair reported. But a few days before the presentation, Cheney met Powell outside the Oval Office and dismissed the Secretary of State?s concerns. "Your poll numbers are in the 70s," Cheney said. "You can afford to lose a few points."
Fast forward to today’s U.S.A., wherein sentient citizens now realize that the entire world, which overwhelmingly embraced us after Sept. 11, was taken for a ride. And, as former Bush officials have recently revealed, the President?s role in the deceptive drive to war is also quite damning. "When one talks with those involved in the lead-up to the Iraq war, one theme is repeated again and again. From the C.I.A. analysts who felt pressure to tailor their intelligence to fit the Bush administration’s aims to diplomats who felt steamrolled by the White House?s blinkered view that Saddam was hiding WMD, many officials felt that nothing they said, no fact they could present, could possibly dissuade Bush from war," Vanity Fair explained.
Considered alongside the perpetual prewar chest thumping, these revelations help to explain America’s sullied reputation and subsequent unpopularity. And given Mr. Bush’s 2000 campaign promise to embark on a "humble" foreign policy, [Comedy Central] it would seem that a smidgen of humility might be in order. Well, it would seem that way, but don’t hold your breath.
Because, administration arrogance and media disinformation aside, even after learning how the Bush/Cheney wool was systematically pulled over our collective eyes, in post-truth America, self-satisfied gasbags continue to congregate, smugly complaining about liberals and other imaginary enemies — while propagating and defending Bush administration distortions. And, oddly enough, even now that Richard Clarke, Paul O’Neill and Reality have combined forces to unveil the deception behind the smirk, disciples of Richard "They?ll be Tossing Posies" Perle and Ken ?Cakewalk? Adelman [Washington Post] have decided that this deception does not matter. Truth? Justice? The American Way? Well, by golly, everyone lies! And so, George Bush’s whoppers (unlike Bill Clinton’s) are readily forgiven. Besides, isn?t it easier to accuse the truth-tellers of "hating America" than to adhere to America’s higher standards?
Want proof? Google Mark Steyn?s "Mideast Instability? Bring it On!" and you?ll come across entire congregations passing around Steyn?s piece as if it were some sort of shrill and snarling floozy. "In the summer of 2002, Amr Moussa, secretary-general of the Arab League, issued a stern warning to the BBC: a US invasion of Iraq would ?threaten the whole stability of the Middle East," Steyn reminded. "As I [Steyn] wrote at the time, ?He’s missing the point: that’s the reason it’s such a great idea." [] Meanwhile, denizens of "Free Republic" and "" echo this sentiment — hoping that further turmoil in the Middle East will widen G.W.?s war. "Throw gasoline on that fire," one of the folks at Little Green Footballs wrote.
Steyn, the senior contributing editor for Hollinger Inc. (see, Perle, Richard, connections to []) shared a 15-watt "eureka!" in his Jerusalem Post article, falsely concluding that the Bush administration attacked Iraq due to the trauma from, as Condoleezza Rice put it, al-Qaeda?s attempt to "decapitate us." After listing inaccurate and improbable scenarios, Steyn wrote, "In other words, if you’re wondering why this administration’s approach to terrorism is so focused on regime change, it’s because the terrorists came so close to changing America’s regime."
Though readers of the Jerusalem Post (see Perle, Richard, connections to, [Guardian]) might be none the wiser, reams of evidence suggest that Steyn is pulling a fast one. Aside from the fact that former Bush administration officials have confessed that Bush was gunning to attack Iraq months before Sept. 11, there are other clues. For starters, the GOP included regime change as one of its stated goals in its 2000 platform ("peace and stability in the Persian Gulf is impossible as long as Saddam Hussein rules Iraq," they said []); the Bush-connected Project for a New American Century called for regime change as early as 1998 — and continued their battle cry even as their boy Bush was promising to be "humble"; [ABC News] and five months before 9/11, a report commissioned by James Baker III and submitted to Dick Cheney concluded, as the Sunday Herald explained, that "Saddam was a threat to American interests because of his control of Iraqi oilfields and military action against Iraq might be necessary to secure control of the country’s oil." []
Steyn?s regime change fantasies notwithstanding, his central thesis — that Middle East instability is "the point" behind the U.S. invasion of Iraq — is decidedly on the mark. Deconstructed more than a year ago by Joshua Micah Marshall, the notion that administration hawks have been Jonesing for a wider war is finally being openly admitted. "Chaos in the Middle East is not the Bush hawks’ nightmare scenario — it’s their plan," Marshall wrote in April, 2003, back when those now rooting for such a conflagration dismissed such musings as conspiracy theories.
But while Steyn and his neocon buddies pray for all hell to break loose, Marshall has raised thoughtful concerns about the danger and deception behind this delusional scheme. Describing how members of the administration fully believe that a "full-scale confrontation between the United States and political Islam" is "inevitable" and that it’s better to "have it now, on our terms, rather than later, on theirs," Marshall explained:
"To most Americans, [an outburst of violence following the invasion of Iraq] would sound like a frightening state of affairs, the kind that would lead them to wonder how and why we had got ourselves into this mess in the first place. But to the Bush administration hawks who are guiding American foreign policy, this isn’t the nightmare scenario. It’s everything going as anticipated.
In their view, invasion of Iraq was not merely, or even primarily, about getting rid of Saddam Hussein. Nor was it really about weapons of mass destruction. . . Rather, the administration sees the invasion as only the first move in a wider effort to reorder the power structure of the entire Middle East. . .
So events that may seem negative — Hezbollah for the first time targeting American civilians; U.S. soldiers preparing for war with Syria — while unfortunate in themselves, are actually part of the hawks’ broader agenda. . . Each crisis will draw U.S. forces further into the region and each countermove in turn will create problems that can only be fixed by still further American involvement, until democratic governments–or, failing that, U.S. troops–rule the entire Middle East." [Washington Monthly]
And so, when Undersecretary of State John Bolton told Israeli officials that the U.S. would "deal with" Iran, Syria, and North Korea after defeating Iraq, Bolton was going along with the plan; when The Weekly Standard’s Jeffrey Bell reported that the Bush administration is gunning for "world war between the United States and a political wing of Islamic fundamentalism," Bell was describing the plan; and when Mark Steyn wrote, "Mideast Instability? Bring It On!" Steyn was advocating the plan.
Nevertheless, the war was not sold this way and to this day, many Americans remain largely in the dark. "There is a startling amount of deception in all this–of hawks deceiving the American people, and perhaps in some cases even themselves," Marshall wrote, evoking Irving Kristol?s 1989 post-Granada admission that, "The reason we gave for the intervention — the risk to American medical students there — was phony but the reaction of the American people was absolutely and overwhelmingly favorable. They had no idea what was going on, but they backed the president. They always will."
And now, the same tactic has been cynically used among those who promised to restore "honor and integrity" to the White House. "[T]he president has not even leveled with the public that such a clean-sweep approach to the Middle East is, in fact, their plan," Marshall wrote. One year later, however, during his April 13, 2004 press conference, the President finally gave us a glimpse of his agenda. In case you missed it, here are but a few of his more revealing statements:
? "We serve the cause of liberty and that is, always and everywhere, a cause worth serving."
? "We have an obligation to work toward a more free world. That’s our obligation. That’s what we have been called to do, as far as I’m concerned."
? "The legacy we are going to leave behind is . . . a legacy that really is based upon our deep belief that people want to be free and that free societies are peaceful societies."
? "A secure and free Iraq is an historic opportunity to change the world and make America more secure."
? "It’s important for us to spread freedom throughout the Middle East. Free societies are hopeful societies."
== Someone pasted records of crystals at this point ==
=====
Compound: Pa2Co4Si
Source: Alexandria via LeMat-Bulk
Functional: PBE
Structure: relaxed

Structure (POSCAR):
```
Pa2Co4Si
1.0
4.2536 0.0000 0.0000
0.0000 4.2536 0.0000
-2.1268 -2.1268 6.4269
Co Pa Si
4 2 1
direct
0.8293 0.8293 0.6585
0.0000 0.5000 0.0000
0.5000 0.0000 0.0000
0.1707 0.1707 0.3415
0.3480 0.3480 0.6960
0.6520 0.6520 0.3040
0.0000 0.0000 0.0000
```

Properties
SG: No. 139
Final energy (eV per atom): -7.636
Distance to the lowest polymorph of the same formula (eV/f.u.): 1.71
Crystal system: tetragonal

Compound: Ca2Ni12Ge7
Source: Alexandria via LeMat-Bulk
Functional: PBE
Structure: relaxed

Structure (POSCAR):
```
Ca2Ni12Ge7
1.0
3.7852 0.0000 0.0000
0.0000 8.1887 -4.7277
0.0000 0.0000 9.4555
Ni Ge Ca
12 7 2
direct
0.0000 0.4827 0.9478
0.0000 0.2835 0.0659
0.5000 0.2418 0.7765
0.0000 0.9341 0.2176
0.0000 0.0522 0.5349
0.5000 0.3824 0.2967
0.5000 0.9142 0.6176
0.0000 0.7824 0.7165
0.5000 0.7033 0.0858
0.5000 0.5346 0.7582
0.5000 0.2235 0.4654
0.0000 0.4651 0.5173
0.0000 0.7265 0.9356
0.5000 0.9289 0.3649
0.5000 0.6351 0.5640
0.0000 0.0644 0.7910
0.0000 0.3333 0.6667
0.0000 0.2090 0.2735
0.5000 0.4360 0.0711
0.5000 0.0000 0.0000
0.0000 0.6667 0.3333
```

Properties
SG: No. 174
Final energy (eV per atom): -5.447
Crystal system: hexagonal

Compound: Dy6In2CO
Source: Alexandria via LeMat-Bulk
Functional: PBE
Structure: relaxed

Structure (POSCAR):
```
Dy6In2CO
1.0
6.8595 0.0000 0.0000
0.0000 6.8595 0.0000
0.0000 0.0000 9.6958
Dy O In C
12 2 4 2
direct
0.5000 0.2500 0.7483
0.7518 0.5019 0.0000
0.2482 0.9983 0.0000
0.2518 0.4981 0.5000
0.7482 0.0017 0.5000
0.7518 0.9983 0.0000
0.2518 0.0017 0.5000
0.5000 0.2500 0.2517
0.2482 0.5019 0.0000
0.7482 0.4981 0.5000
0.0000 0.7500 0.2483
0.0000 0.7500 0.7517
0.5000 0.2501 0.0000
0.0000 0.7499 0.5000
0.5000 0.7500 0.7500
0.0000 0.2500 0.7500
0.0000 0.2500 0.2500
0.5000 0.7500 0.2500
0.5000 0.2499 0.5000
0.0000 0.7501 0.0000
```

Properties
SG: No. 225
Final energy (eV per atom): -5.738
Crystal system: cubic

Compound: FeTcW2
Source: Alexandria via LeMat-Bulk
Functional: PBE
Structure: relaxed

Structure (POSCAR):
```
FeTcW2
1.0
-2.0547 2.2967 0.7271
-0.7427 -1.8801 3.8401
3.1904 2.3021 1.7442
Tc W Fe
1 2 1
direct
0.0000 0.5000 0.5000
0.5000 0.5000 0.0000
0.0000 0.0000 0.0000
0.5000 0.0000 0.5000
```

Properties
SG: No. 47
Final energy (eV per atom): -11.071
Distance to the lowest polymorph of the same formula (eV/f.u.): 0.04
Crystal system: orthorhombic

Compound: NiAg2Cl
Source: Alexandria via LeMat-Bulk
Functional: PBE
Structure: relaxed

Structure (POSCAR):
```
NiAg2Cl
1.0
-4.0844 -2.7084 2.5588
-1.6874 -4.9533 -1.7841
4.7050 2.6250 1.2400
Ag Cl Ni
2 1 1
direct
0.0000 0.0000 0.0000
0.5000 0.5000 0.0000
0.2500 0.7500 0.5000
0.7500 0.2500 0.5000
```

Properties
SG: No. 139
Final energy (eV per atom): -2.910
Distance to the lowest polymorph of the same formula (eV/f.u.): 1.50
Crystal system: tetragonal

Compound: Tm3CdIn2
Source: Alexandria via LeMat-Bulk
Functional: PBE
Structure: relaxed
=====
== Here the article continues ==
? Even knowing what I know today about the stockpiles of weapons, I still would have called upon the world to deal with Saddam Hussein."
? "My job as president is to lead this nation into making this world a better place."
? "We’re changing the world." []
While those who never studied History or the U.S. Constitution might wonder, "What is wrong with the President of the United States using the U.S. military to change the world?" former U.S. ambassador Joseph Wilson recently addressed "the President’s otherworldly vision of bringing freedom to the Middle East, at the barrel of a gun," by saying that "the Bush administration lied to get us into war, and it lied when it said that war in Iraq was part of the struggle against terrorism" (not to mention that Mr. Bush’s attack on Iraq "gave al-Qaeda the best recruitment tool it ever had").
Bob Woodward and Mike Wallace also addressed the President’s delusions on 60 Minutes.
MIKE WALLACE: Who gave George Bush the duty to free people around the world?
WOODWARD: That’s a really good question. The Constitution doesn’t say that’s part of the commander-in-chief?s duties.
WALLACE: The president of the United States, without a great deal of background in foreign policy, makes up his mind and believes he was sent by somebody to free the people, not just in Iraq, but around the world?
WOODWARD: That’s his stated purpose.
WOODWARD: It is far-reaching and ambitious, and I think will cause many people to tremble."
Now, once again, just to make sure you’re following this (I don’t mean to patronize, but all of this is just so "pinch me" surreal), those who embrace G.W. Bush and his war don’t mind the trickery, deceit, arrogance, bullying or loss of blood and treasure. Democracy and freedom are worth it, they say. And in case you haven’t noticed, the same democracy and freedom-loving folks get downright testy when former White House insiders flex their First Amendment muscles and raise questions about our own democracy and the future of freedom in America.
**Calculated crystals, as found in the file**
# 1
The following is a GGA-PBE calculation of a relaxed Nd3Er3Tl2 crystal, from Alexandria via LeMat-Bulk.

Geometry as extended XYZ:
```
16
Lattice="5.106 0.000 0.000 -2.553 5.990 0.000 0.000 0.000 16.642" Properties=species:S:1:pos:R:3 pbc="T T T"
Nd 2.553 5.431 6.590
Nd 0.000 0.558 14.911
Nd 2.553 5.431 1.731
Nd 0.000 0.558 10.052
Nd 2.553 2.595 4.161
Nd 0.000 3.394 12.482
Er 2.553 1.623 7.647
Er 0.000 4.367 15.968
Er 2.553 1.623 0.674
Er 0.000 4.367 8.995
Er 0.000 5.204 4.161
Er 2.553 0.786 12.482
Tl 2.553 3.158 14.571
Tl 0.000 2.832 6.250
Tl 2.553 3.158 10.393
Tl 0.000 2.832 2.071
```

Properties
E	-67.290	eV/cell

***

# 2
The following is a GGA-PBE calculation of a relaxed Nd3ErTl3 crystal, from Alexandria via LeMat-Bulk.

Geometry as extended XYZ:
```
28
Lattice="-8.643 2.340 3.295 0.695 -6.802 6.654 3.981 6.267 5.991" Properties=species:S:1:pos:R:3 pbc="T T T"
Nd -6.238 0.789 5.939
Nd -3.696 1.682 14.851
Nd -5.358 -0.651 9.152
Nd 0.388 -3.173 8.037
Nd -0.701 0.319 2.817
Nd 0.472 -0.602 10.598
Nd 1.972 0.785 6.502
Nd 0.584 4.780 7.185
Nd -2.346 4.544 9.313
Nd -2.667 1.214 10.719
Nd -3.146 3.571 4.913
Nd -3.064 -2.428 5.613
Er 3.431 2.059 9.616
Er -5.650 5.257 6.995
Er -1.685 0.767 6.770
Er -4.029 -4.472 8.499
Tl -2.129 3.719 12.675
Tl -6.475 3.619 4.414
Tl -5.575 1.151 12.108
Tl 0.175 -1.584 5.240
Tl -0.011 2.820 4.695
Tl -1.603 -5.284 6.635
Tl 3.608 3.699 6.914
Tl 0.128 2.138 8.974
Tl -3.649 0.350 4.070
Tl -1.761 -0.562 13.252
Tl -4.191 2.355 7.875
Tl -2.317 -1.590 8.788
```

Properties
E	-111.367	eV/cell

***

Values of ΔE_f, in order: -0.115, -0.268, all in eV/atom.


1.
DFT (PBE-GGA) results for a relaxed Ce2Dy3UP6 crystal.

a = 8.9902 Å, b = 8.9902 Å, c = 8.0549 Å
α = 102.97°, β = 102.97°, γ = 25.80°
Positions (direct):
Ce 0.1658 0.1658 0.3328
Ce 0.8342 0.8342 0.6672
Dy 0.1680 0.1680 0.8331
Dy 0.5000 0.5000 0.5000
Dy 0.8320 0.8320 0.1669
U 0.5000 0.5000 0.0000
P 0.0018 0.0018 0.7563
P 0.3338 0.3338 0.4147
P 0.3358 0.3358 0.9211
P 0.6642 0.6642 0.0789
P 0.6662 0.6662 0.5853
P 0.9982 0.9982 0.2437

Results
E	-7.25	eV/atom
N(E_F)	1.283	states/eV per atom

---

2.
DFT (PBE-GGA) results for a relaxed Ce3Dy2YP6 crystal.

a = 7.0162 Å, b = 7.0162 Å, c = 6.9995 Å
α = 99.62°, β = 99.62°, γ = 120.01°
Positions (direct):
Ce 0.0000 0.0000 0.0000
Ce 0.3334 0.6666 0.0000
Ce 0.6666 0.3334 0.0000
Dy 0.1667 0.8333 0.5000
Dy 0.8333 0.1667 0.5000
Y 0.5000 0.5000 0.5000
P 0.0839 0.4176 0.2528
P 0.2487 0.2487 0.7472
P 0.4176 0.0839 0.2528
P 0.5824 0.9161 0.7472
P 0.7513 0.7513 0.2528
P 0.9161 0.5824 0.7472

Results
E	-7.06	eV/atom
N(E_F)	1.143	states/eV per atom

---

3.
DFT (PBE-GGA) results for a relaxed CeDy3Y2P6 crystal.

a = 6.9592 Å, b = 6.9592 Å, c = 6.9636 Å
α = 99.59°, β = 99.59°, γ = 119.99°
Positions (direct):
Ce 0.0000 0.0000 0.0000
Dy 0.1667 0.8333 0.5000
Dy 0.5000 0.5000 0.5000
Dy 0.8333 0.1667 0.5000
Y 0.3334 0.6666 0.0000
Y 0.6666 0.3334 0.0000
P 0.0836 0.4163 0.2511
P 0.2492 0.2492 0.7501
P 0.4163 0.0836 0.2511
P 0.5837 0.9164 0.7489
**Here the entry continues**
"This war has nothing to do with national security or freedom or democracy or human rights or protecting our allies or weapons of mass destruction or defeating terrorism or disarming Iraq," Vietnam veteran Dr. Robert Bowman (USAF Ret.) recently wrote. "Those who forced this war on an unwilling world are guilty of flagrantly violating the US Constitution, the UN Charter, and international law. What they have done is illegal, immoral, unconstitutional and TREASON." [Baltimore Chronicle]
But for some, questions of "how did we get into this mess?" or "who is going to pay for it?" or "who is going to fight this war?" are what passes for "treason" these days and many "wider war" advocates would like to charbroil the traitorous bastards who?ve been tattling on King George.
Thankfully, however, the nation’s more scrupled citizens, prompted by Paul O’Neill and Richard Clarke and others, are beginning to ask overdue questions. But what do you think the country’s reaction would have been if, during one of his Meet the Press "mushroom cloud" chats, Dick Cheney had let it slide that this administration was pushing WMD hype for "bureaucratic reasons"? What if President Bush had proposed we spend $1 billion a week and two to three soldiers a day on a plan which, according to a classified State Department report, had no basis in reality? (The leaked report, entitled, "The Middle East and Change: No Dominoes," concluded "this idea that you’re going to transform the Middle East and fundamentally alter its trajectory is not credible." [])
Moreover, how would Americans have reacted had they known that despite promises of "cakewalks" and "dancing in the streets," a Zogby poll revealed that 38 percent of Iraqis said they favored democracy, while 50 percent said that "democracy is a western way of doing things and it will not work here"? For God?s sake, even Bush appointee Daniel Pipes declared, as a recent Chicago Sun-Times headline explained: "History shows Islam, democracy unlikely to mix in Iraq."
Sadly, however, it seems that for those who openly root for Mideast instability, none of this matters. Like "patriotic" Germans before them, their unwavering allegiance to Bush is far stronger than their highly selective allegiance to Truth. And though they profess moral superiority, a convoluted and highly arrogant ethical standard emerges. Venture into some of aforementioned Google-retrieved sites and you?ll discover that: 1) Iraqis are overjoyed by their liberation, and even if they are not, what Iraqis want is really not the issue; 2) Al Qaeda is a threat, but so are Paul Krugman, France, Ted Kennedy, the Palestinians, the Democrats, the EU and Sen. Robert Byrd; 3) The DOW Jones Industrial Average is extremely important, while combat casualties and "collateral damage" must not be mentioned in mixed company; 4) Concerns over rigged elections are just a ploy to make Republicans look bad; 5) It doesn’t matter that U.S. troops are spread too thin or don’t have the gear they need, soldiers who complain are just "whiners"; and 6) The "left" is moaning about the draft because they want to relive those good old Vietnam days.
One blogger, who also posted Steyn?s article, even went so far as to publish an assertion that the ominous "left" secretly hopes that the draft will be reinstated to ignite antiwar sentiment across college campuses. "Here is one of the best posts skewering the anti-war left, the EU, Kerry, and Palestinian terrorist supporters that I have read in a long time," Gail at Crossing the Rubicon 2 wrote, in an offering she entitled, ‘The Truth’:
"For instance, The Truth Is… that "liberals" who suddenly have started talking about reintroducing the draft are not in the slightest concerned with military readiness, and do not believe that filling out the army with draftees is an essential step in winning the war. What’s actually going on is that they know that one of the biggest reasons that the people of America ultimately turned against the Viet Nam war was because it was being fought primarily by draftees. And one of the biggest reasons why America’s college campuses were particular focal points for anti-war activism was because it was men that age who were being drafted.
Said liberals, usually graying Boomers like me, are amazed at the degree to which college-age Americans support this war. They feel somehow cheated; colleges are supposed to be anti-war, aren’t they? Of course, there are many critical differences between Viet Nam and the WOT, but regarding the "Millenials" (previously known as "Gen Y") they view the draft as one of the biggest reasons. If they can somehow reinstitute the draft, then said liberals hope they could ignite massive opposition to the war, and would once again see America’s college campuses become centers of anti-war activism."
"There’s a lot more. Please — read the rest," she wrote, before linking to the following article….shtml)
In Blog Land, you see, concern about the draft is simply proof that "the left" wants to rile up the college folk. And that’s "the truth." [Insert eye roll here]
This sort of simplicity might make sense if Dennis Kucinich and Ralph Nader were the only ones sounding the alarm, but other heavy hitters have recently chimed in. In Sept. 2001, for example, the Brookings Institutions?s Michael O’Hanlon told ABC News that should the US need to occupy another country, "conceivably you would get into the kinds of manpower requirements that would advise in favor of a draft." Last week, O?Hanlon updated his prediction. "As casualties have mounted in Iraq, and frequent call-ups of National Guard and reserve troops have placed unusual strains on the nation’s citizen-soldiers, there has been a push to reinstate military conscription," he wrote. "Rep. Charles B. Rangel (D-N.Y.) and Sen. Ernest F. Hollings (D-S.C.) have introduced a bill that would restore the draft. And one of Congress’ most respected military veterans, Sen. Chuck Hagel (R-Neb.), has called for a national debate on the idea." Ultimately, O?Hanlon concluded that the "most likely cause" for reinstatement of the draft would be "an even more severe over-deployment of the all-volunteer force." [Los Angeles Times] Chances are, of course, that the folks rooting for Mideast instability and pie-in-the-sky- democracy understand that their anticipated wider war would, as O?Hanlon warned, lead to "severe over-deployment" and the return of the draft. But these freedom-embracing, democracy-loving patriots (who wish Ted Koppel would just shut up about America’s war dead, by the way) simply want everyone to get in line, pay their taxes and donate their children to the cause.
And so, when Mark Steyn writes, "Mideast Instability? Bring it on!" these freedom-loving, democracy-embracing patriots applaud like a gaggle of trained seals. But they have their own agenda, too, you see, and your conscripted children will most likely be the ones to carry it out.
There is not much honor or integrity in any of this, of course. But why should they waste their beautiful minds worrying about something like that?
Thanks to Suzanne Faye for passing this article along.